Monday, June 27, 2005

too much

apologies for the lack of posts lately. i've noticed that i haven't been as keen to write now that i'm at an office space and feel like i don't have as much free time to slack off (although i still do have my fair share of slacking instant messaging sessions). i just can't seem to find time in the day to blog. and quite honestly, i haven't had all that much of interest to report. just lots of work (so far... the move to the office space is going great... business is good and i'm happy there) and plenty of summer socializing. not sure if it's due to the fact that i've been here for a good year and a half to warrant enough friends to have an active social life or if it's just the time of year when people want to be out and do stuff. in any case, i've been very very busy.

Here the text breaks off for records of crystals:
********
# 1
DFT (PBE) results for a relaxed HoCdH6Rh2 crystal.

The space group is C2/c (No. 15) and the conventional cell measures 7.384, 10.045 and 5.633 Å, with angles of 90.00, 114.13 and 90.00 degrees. The inequivalent atoms are Ho at (0.000, 0.135, 0.250), Cd at (0.000, 0.286, 0.750), H at (0.092, 0.422, 0.459), H at (0.180, 0.043, 0.018), H at (0.223, 0.212, 0.654) and Rh at (0.187, 0.434, 0.202).

# 2
DFT (PBE) results for a relaxed CdH2I2 crystal.

The space group is P2_1/c (No. 14) and the conventional cell measures 10.067, 9.821 and 7.508 Å, with angles of 90.00, 90.65 and 90.00 degrees. The inequivalent atoms are Cd at (0.242, 0.249, 0.497), H at (0.244, 0.737, 0.952), H at (0.268, 0.732, 0.538), I at (0.091, 0.097, 0.745) and I at (0.393, 0.096, 0.249).

The calculation puts the energy above the most stable polymorph in this dataset at 0 meV per atom.

# 3
DFT (PBE) results for a relaxed Cd2H4I crystal.

The space group is P-1 (No. 2) and the conventional cell measures 3.692, 3.747 and 9.279 Å, with angles of 101.55, 90.28 and 90.16 degrees. The inequivalent atoms are Cd at (0.004, 0.168, 0.331), H at (0.005, 0.685, 0.366), H at (0.496, 0.822, 0.649) and I at (0.000, 0.000, 0.000).

# 4
DFT (PBE) results for a relaxed Cd3HI crystal.

The space group is Pm-3m (No. 221) and the conventional cell measures 6.711, 6.711 and 6.711 Å, with angles of 90.00, 90.00 and 90.00 degrees. The inequivalent atoms are Cd at (0.000, 0.000, 0.500), H at (0.500, 0.500, 0.500) and I at (0.000, 0.000, 0.000).

The calculation puts the energy above the most stable polymorph in this dataset at 512 meV per atom.

# 5
DFT (PBE) results for a relaxed CdHI2 crystal.

The space group is Cmcm (No. 63) and the conventional cell measures 4.511, 19.491 and 6.282 Å, with angles of 90.00, 90.00 and 90.00 degrees. The inequivalent atoms are Cd at (0.000, 0.189, 0.250), H at (0.000, 0.086, 0.250), I at (0.000, 0.201, 0.750) and I at (0.000, 0.418, 0.750).

# 6
DFT (PBE) results for a relaxed Cd5H3I12 crystal.

The space group is Ia-3d (No. 230) and the conventional cell measures 18.420, 18.420 and 18.420 Å, with angles of 90.00, 90.00 and 90.00 degrees. The inequivalent atoms are Cd at (0.000, 0.000, 0.000), Cd at (0.000, 0.250, 0.375), H at (0.000, 0.250, 0.125) and I at (0.033, 0.067, 0.646).

# 7
DFT (PBE) results for a relaxed CdHI crystal.

The space group is P1 (No. 1) and the conventional cell measures 5.120, 5.333 and 7.026 Å, with angles of 112.17, 90.05 and 90.01 degrees. The inequivalent atoms are Cd at (0.000, 0.000, 0.000), Cd at (0.500, 0.380, 0.000), H at (0.250, 0.259, 0.138), H at (0.750, 0.123, 0.863), I at (0.249, 0.542, 0.701) and I at (0.750, 0.839, 0.299).

The calculation puts the energy above the most stable polymorph in this dataset at 0 meV per atom.

# 8
DFT (PBE) results for a relaxed CdH2I2 crystal.
********
The text goes on:

case in point: last weekend. i decided to give my group organization skills a shot in nyc. in LA it seemed like i did a lot of organization of group activities and was actually a little happy to move to a place where i didn't know many people and would thus, retire my position as the party planner. well, i'm back at it. i suppose i just like to do it. i decided to plan a potluck picnic in prospect park (notice the alliteration?). antibalas and soulive were playing a free show on friday and i thought it to be the perfect time to invite people out.

well, it was a huge success. friends invited friends who invited more friends and we ended up having well over 30 people show up who all pitched in, bringing yummy food and beverages. the night was perfect, the music was great and everyone got along swimmingly. i couldn't have been more pleased with my first attempt at something like this. yay!

saturday morning was tough since i had to get up at 6am to go meet the kids from the homeless shelter. our volunteer group took 12 kids out on the delaware river on the new jersey/pennsylvania border. we were out on the river for over 4 hours under burning heat. and the river had little to no current (we were actually paddling against the wind on many occassions). the kids remained in relatively good spirits with minor complaints like "how much further?" and "my arms hurt." yeah, my arms hurt too (feeling the pain today!) but i managed to keep the troops going. i also played swim instructor/human buoy. many of the kids didn't know how to swim and even though they were wearing life vests, they didn't like being out in deep water. at one point i had about 3 kids holding on to me for dear life, dunking me under as we went down the river. with much encouragement, i got 2 of the kids to let go, hold their head back and float! once they mastered that, they didn't want to get out. pretty neat!

i was sooooo tired after that day but managed to get to GAS (work space) for a rooftop movie screening. very fun, but i was too out of it to really enjoy. and sunday was mellow movie day. saw "rize" and "batman begins." both pretty darn good. rize made me miss LA and want to move my body like those kids. i attempted the "stripper style" krumping (it's really called that in the film) in the mirror when i got home, but didn't come close. i could mimic the butt motion but the speed was impossible. and batman was better than expected although not amazing by any means. oh and while i'm on movies, go see "mad hot ballroom." loved.

## Data records, kept here for reference
********
# 1
Here is a crystal of SnPH5NO4F relaxed with PBEsol from Alexandria via LeMat-Bulk. Energies are from SCAN.

Summary:
**Fermi-level density of states**: 0.000 states/eV/f.u.
**Density**: 3134 kg/m³
**Final energy**: -9.26 eV/atom
**SG**: Pnma (62)
**V**: 10.3 Å³ per atom

Unit cell a=5.273 b=6.610 c=15.307 alpha=90.00 beta=90.00 gamma=90.00
Fractional coordinates of all 52 atoms:
Sn  0.750  0.834  0.197
Sn  0.750  0.334  0.303
Sn  0.250  0.166  0.803
Sn  0.250  0.666  0.697
P  0.250  0.121  0.164
P  0.250  0.621  0.336
P  0.750  0.879  0.836
P  0.750  0.379  0.664
H  0.250  0.458  0.176
H  0.250  0.958  0.324
H  0.750  0.542  0.824
H  0.750  0.042  0.676
H  0.750  0.432  0.037
H  0.750  0.932  0.463
H  0.250  0.568  0.963
H  0.250  0.068  0.537
H  0.750  0.177  0.052
H  0.750  0.677  0.448
H  0.250  0.823  0.948
H  0.250  0.323  0.552
H  0.588  0.278  0.967
H  0.912  0.778  0.533
H  0.088  0.722  0.033
H  0.412  0.222  0.467
H  0.412  0.722  0.033
H  0.088  0.222  0.467
H  0.912  0.278  0.967
H  0.588  0.778  0.533
N  0.750  0.292  0.005
N  0.750  0.792  0.495
N  0.250  0.708  0.995
N  0.250  0.208  0.505
O  0.250  0.343  0.128
O  0.250  0.843  0.372
O  0.750  0.657  0.872
O  0.750  0.157  0.628
O  0.487  0.015  0.126
O  0.013  0.515  0.374
O  0.987  0.985  0.874
O  0.513  0.485  0.626
O  0.513  0.985  0.874
O  0.987  0.485  0.626
O  0.013  0.015  0.126
O  0.487  0.515  0.374
O  0.250  0.128  0.265
O  0.250  0.628  0.235
O  0.750  0.872  0.735
O  0.750  0.372  0.765
F  0.750  0.662  0.083
F  0.750  0.162  0.417
F  0.250  0.338  0.917
F  0.250  0.838  0.583

---

# 2
Here is a crystal of Zr2H16SN3O6F9 relaxed with PBEsol from Alexandria via LeMat-Bulk. Energies are from SCAN.

Summary:
**Fermi-level density of states**: 0.000 states/eV/f.u.
**Density**: 2744 kg/m³
**Final energy**: -7.84 eV/atom
**SG**: C2/m (12)
**V**: 8.8 Å³ per atom

Unit cell a=7.899 b=7.899 c=11.803 alpha=103.45 beta=108.08 gamma=100.88
Fractional coordinates of all 74 atoms:
Zr  0.857  0.117  0.614
Zr  0.497  0.756  0.614
Zr  0.143  0.883  0.386
Zr  0.503  0.244  0.386
H  0.130  0.636  0.152
H  0.515  0.021  0.152
H  0.870  0.364  0.848
H  0.485  0.979  0.848
H  0.942  0.563  0.181
H  0.618  0.239  0.181
H  0.058  0.437  0.819
H  0.382  0.761  0.819
H  0.199  0.202  0.920
H  0.718  0.721  0.920
H  0.801  0.798  0.080
H  0.282  0.279  0.080
H  0.195  0.053  0.002
H  0.949  0.807  0.002
H  0.805  0.947  0.998
H  0.051  0.193  0.998
H  0.344  0.163  0.673
H  0.510  0.328  0.673
H  0.656  0.837  0.327
H  0.490  0.672  0.327
H  0.313  0.372  0.684
H  0.687  0.628  0.316
H  0.472  0.334  0.806
H  0.528  0.666  0.194
H  0.066  0.597  0.663
H  0.934  0.403  0.337
H  0.035  0.809  0.677
H  0.868  0.642  0.677
H  0.965  0.191  0.323
H  0.132  0.358  0.323
H  0.911  0.634  0.545
H  0.089  0.366  0.455
S  0.288  0.712  0.000
S  0.712  0.288  0.000
N  0.817  0.817  0.000
N  0.183  0.183  0.000
N  0.409  0.301  0.710
N  0.591  0.699  0.290
N  0.028  0.330  0.358
N  0.972  0.670  0.642
********

see, boring writing. but at least you know why i've been too busy too write. promise to write more interesting stuff soon... as soon as something interesting happens. ;)

1 comment:

Ariel said...

What's uninteresting about this? It's exciting!